== Entries ==
+++
{
  "formula": "C3H5N5",
  "method": "ωB97M-V/def2-TZVPD",
  "elements": ["C", "C", "C", "N", "N", "N", "N", "N", "H", "H", "H", "H", "H"],
  "xyz": [[2.919, 0.711, -0.121], [0.528, 0.276, 0.178], [-1.628, -0.783, 0.109], [-2.244, 0.496, -0.256], [-1.646, 1.501, -0.143], [1.790, 0.444, -0.148], [-0.519, 1.840, 0.146], [-0.228, -0.720, -0.193], [3.974, 0.907, -0.141], [-1.824, -0.918, 1.185], [-2.116, -1.590, -0.447], [-0.118, 2.766, 0.268], [0.136, -1.440, -0.837]],
  "lowdin_charge": [0.4477, -0.0465, -0.0726, 0.1781, 0.0115, 0.2014, 0.2190, 0.1596, 0.1710, 0.1717, 0.1645, 0.1842, 0.2104],
  "charge": 2,
  "e_homo_ev": [-18.72, -19.12],
  "e_above_lowest_kcal_mol": 87.6
}


{
  "formula": "C3H14N6O3S",
  "method": "ωB97M-V/def2-TZVPD",
  "elements": ["N", "C", "N", "C", "N", "N", "C", "N", "N", "S", "O", "O", "O", "H", "H", "H", "H", "H", "H", "H", "H", "H", "H", "H", "H", "H", "H"],
  "xyz": [[-2.003, -1.516, 0.262], [-1.901, -0.037, 0.379], [-2.595, 0.463, -0.840], [-0.396, 0.344, 0.570], [-0.253, 1.856, 0.685], [0.131, -0.309, 1.786], [0.408, -0.026, -0.666], [0.235, 0.927, -1.717], [0.401, -1.512, -1.016], [2.229, 0.125, -0.116], [2.513, 1.451, 0.375], [2.983, -0.276, -1.317], [2.623, -0.989, 0.956], [-1.325, -1.911, 0.851], [-1.757, -1.824, -0.712], [-2.381, 0.248, 1.378], [-2.681, 1.535, -0.881], [-2.065, 0.124, -1.679], [0.707, 2.098, 1.181], [-1.048, 2.210, 1.253], [0.935, 0.293, 1.930], [-0.431, -0.290, 2.671], [0.050, 1.831, -1.260], [1.153, 0.988, -2.204], [0.921, -2.226, -0.400], [0.671, -1.723, -1.940], [2.878, -1.852, 0.470]],
  "lowdin_charge": [0.0238, -0.3980, 0.0332, -0.5290, 0.0348, 0.0696, -0.5057, 0.0863, 0.0604, 0.6556, -0.2887, -0.3350, -0.2018, 0.0186, 0.0751, 0.1485, 0.1034, 0.0721, 0.1157, 0.0896, 0.0425, 0.1196, 0.0815, 0.1015, 0.1225, 0.0643, 0.1397],
  "e_homo_ev": -8.67,
  "smiles": "NC(N)C(N)(N)C(N)(N)S(=O)(=O)O",
  "e_above_lowest_kcal_mol": 58.3
}


{
  "formula": "C28H40NO2Pd",
  "method": "ωB97M-V/def2-TZVPD",
  "elements": ["O", "C", "C", "H", "H", "C", "H", "H", "C", "H", "H", "H", "C", "H", "H", "H", "Pd", "C", "C", "C", "H", "C", "C", "H", "H", "H", "H", "C", "C", "C", "H", "C", "C", "H", "H", "H", "H", "O", "C", "C", "H", "H", "C", "H", "H", "C", "H", "H", "H", "H", "C", "N", "C", "C", "C", "C", "C", "C", "C", "C", "H", "H", "H", "H", "H", "H", "H", "H", "H", "H", "H", "H"],
+++
== To do ==
Say how many lines of the lines above hold the word "formula", as a bare number.
== Response ==
3